Tuesday, January 28, 1868
The Convention was called to order on Tuesday at 11 o’clock, Mr. Pres. Cowles in the Chair.
(What comes next are quantum chemistry results, not part of the entry)
-- begin --
# 1
Formula: C4H14NO
Source: OMol25
Level of theory: wB97M-V/def2-TZVPD

Last columns: bonded neighbours and bond lengths (Å).
Cartesian coordinates (Å):
1 C -1.6905 -0.1908 0.3965  C2 1.535, H6 1.059, H7 1.091, H8 1.119
2 C -0.5809 0.8697 0.3730  C1 1.535, N3 1.562, C5 1.519, H9 1.110
3 N 0.4295 0.1825 -0.6003  C2 1.562, C4 1.608, H10 0.999, H11 0.990
4 C -0.0104 0.2238 -2.1468  N3 1.608, H12 1.089, H13 1.153, H14 1.073
5 C 0.1759 1.3485 1.5996  C2 1.519, H15 1.167, H16 1.132, H17 1.080
6 H -1.3163 -1.0367 0.9126  C1 1.059
7 H -2.5679 0.2667 0.8550  C1 1.091
8 H -2.0931 -0.4250 -0.6208  C1 1.119
9 H -0.9684 1.7486 -0.1841  C2 1.110
10 H 0.6159 -0.7715 -0.3686  N3 0.999
11 H 1.3410 0.5449 -0.4684  N3 0.990
12 H -0.9640 -0.2888 -2.2618  C4 1.089
13 H 0.8669 -0.3607 -2.6142  C4 1.153
14 H -0.0543 1.2681 -2.3895  C4 1.073
15 H 0.2825 0.5209 2.4148  C5 1.167
16 H 1.1468 1.8348 1.2801  C5 1.132
17 H -0.4096 2.1167 2.0836  C5 1.080
18 H 2.0554 -3.3887 0.5660  O20 0.993
19 H 2.2223 -1.9061 0.6919  O20 0.981
20 O 1.5192 -2.5571 0.4813  H18 0.993, H19 0.981

Output
HOMO energy = -15.77 eV
Energy above the lowest of the compared OMol25 structures with the same formula, charge and spin = 118.26 kJ/mol
Frontier orbital gap = 0.4648 hartree
Total charge = +1

---

# 2
Formula: C4H14NO
Source: OMol25
Level of theory: wB97M-V/def2-TZVPD

Last columns: bonded neighbours and bond lengths (Å).
Cartesian coordinates (Å):
1 C -1.0186 -1.6268 0.1775  C2 1.471, H6 1.132, H7 1.084, H8 1.134
2 C -0.3838 -0.4451 0.7814  C1 1.471, C3 1.560, N5 1.472, H9 1.018
3 C -1.1863 0.8638 0.5076  C2 1.560, C4 1.527, H10 1.035, H11 1.092
4 C -0.5357 2.1435 1.0280  C3 1.527, H12 1.134, H13 1.091, H14 1.191
5 N 0.9335 -0.3361 0.1338  C2 1.472, H15 1.077, H16 1.094, H17 1.066
6 H -2.1387 -1.7395 0.2998  C1 1.132
7 H -0.7972 -1.7432 -0.8773  C1 1.084
8 H -0.5344 -2.6269 0.4029  C1 1.134
9 H -0.0359 -0.4545 1.7385  C2 1.018
10 H -2.0490 0.7637 1.0706  C3 1.035
11 H -1.4432 1.0334 -0.5403  C3 1.092
12 H 0.1912 2.5952 0.2834  C4 1.134
13 H -0.0108 2.0131 1.9758  C4 1.091
14 H -1.3242 3.0249 1.1703  C4 1.191
15 H 1.0367 -0.2988 -0.9372  N5 1.077
16 H 1.6430 -0.9959 0.6410  N5 1.094
17 H 1.3462 0.5948 0.4508  N5 1.066
18 H 1.6519 -1.5496 -2.8741  O20 0.985
19 H 2.7585 -0.5394 -2.9429  O20 0.983
20 O 1.8969 -0.6767 -2.4898  H18 0.985, H19 0.983

Output
HOMO energy (alpha / beta) = -19.63 / -19.62 eV
Energy above the lowest of the compared OMol25 structures with the same formula, charge and spin = 206.98 kJ/mol
Frontier orbital gap (alpha / beta) = 0.4498 / 0.1407 hartree
2S+1 = 2
Total charge = +2

---

# 3
Formula: C4H14NO2
Source: OMol25
Level of theory: wB97M-V/def2-TZVPD

Last columns: bonded neighbours and bond lengths (Å).
Cartesian coordinates (Å):
1 C 0.2719 -1.0377 0.6403  N2 1.527, C5 1.543, H6 1.147, H7 1.169
2 N -0.3589 0.1860 -0.0197  C1 1.527, C3 1.541, H8 0.977, H9 0.964
3 C 0.5465 1.3791 0.3436  N2 1.541, C4 1.584, H10 1.091, H11 1.064
-- stop --
After some discussion regarding political disabilities, the convention returned to yesterday’s debate regarding state officers to be named in the constitution for two-year terms by election, including the state superintendent of public instruction.
Mr. Durham’s amendment to strike out the offices of Lt. Governor, Superintendents of Public Works and of Public Instruction was announced to be pending. The following are excerpts from the debate focused on the state superintendent and public education1:
Mr. Durham: I would not have arisen to speak to-day, had not the reported remarks of debate yesterday, left the impression that Conservative members were opposed to free schools. Now it is scarcely necessary to say that we favor free schools, as soon as the people are able to bear taxes to support them. But this Convention is called on to create an office, to be filled by a partizan, with a salary of perhaps $2,500 or $3,000. It may be ten years before free schools are established, and if this salary run there would be a useless expense of $2,500 or $3,000. The people are now scarcely able to pay their taxes; and it is now according to the old Constitution in the power of the Legislature at any time to frame a system of common schools. Still this Convention is now required to create a new salaried officer to be paid out of the pockets of the people. It is an innovation.
Mr. Tourgee: I am glad the creation of these offices are opposed on the ground of innovation. There could be no higher ground for Republicans, or truer ground for Conservatives. They said they were not opposed to public instruction, but counted the long time before North Carolina could be able to establish a system of free schools. Now North Carolina needed that at once, and also an able Superintendent of Public Instruction. If not able to have free schools, she was not worthy of a place in the Union.
Mr. Ashley: the State would be obliged to have a system of Public Schools in it at some time. I thank the gentlemen for the avowal that they are in favor of it. But a Superintendent of Public Instruction should be appointed prior to the formation of the system in any contingency. The State must be canvassed, and statistical information gathered. This duty should be placed in responsible hands. Resources must be created. The people are now heavily taxed, and need relief. No man would do more for them than I would.
Mr. Welker: I can not see how any intelligent North Carolinian could object to the office of Superintendent of Public Instruction. A Superintendent must be had to carry out any well devised system of public instruction, and the objection made that it would be ten or fifteen years before a system of public schools would be established, was clearly insufficient. Besides it was charged that the office would be filled by a partizan. Now it was the duty of every one to stand in this matter not as a partizan, but as a citizen in favor of education. Upon education depends future success, and if in the next ten or twelve years the children of the people were permitted to grow in ignorance, they would be better qualified from crime than the duties of an American citizen. It would cost the State far more in jails and Courts, than it would to educate them. All that he desired for the present was to have a school in every nook and valley of the State, where the children could at least go to school four or five months of the year. Then the ancient glory of North Carolina, of which so much is heard, would not pass away.
Mr. Harris, of Wake: [Opposition] comes either from too much love of the olden time or too much hatred of the new condition of affairs. The party which now oppose had formerly expended money with a liberal hand for educational purposes.—Large sums of money had been bestowed by former Legislatures, and when the late war begun North Carolina had two millions of dollars in specie for a Literary fund. It was needless to say what went with it, for all know that too well. Besides the State then paid out $500,000 annually for the same purposes.…The very party they represent appropriated $14,000 to keep up Chapel Hill, through the last Legislature, in order to educate the sons of the aristocracy. But when this Convention magnanimously proposes to educate the poor children, the cry of party is raised. Thousands have been spent on the sons of aristocracy,— specie in millions have been squandered, how then can gentlemen oppose this request of the people? Besides, there was a history of the Swamp land, which he might relate, but enough had been said. Only this in conclusion, more had been spent in one year to educate the sons of the gentry, than this Convention proposed to spend on the children of the people for the next ten years.
After this lengthy debate, the delegates took up the next section of the constitution on the qualifications for Governor.
On motion the Convention adjourned.
Ferrell, Joseph, ed., Compilation of the Official Report of the Proceedings of the Convention (Chapel Hill, N.C.: unpublished manuscript 2007). (See day 8 for fuller explanation of this resource.)